### Input
Entry 1:
Starting from the PBE+U geometry in Alexandria, the powder diffraction line list of BaCo2P2O8 was simulated for a wavelength of 1.5418 Å.
No peak broadening, texture or thermal motion is included.

Structural model:
```
data_BaCo2P2O8
_symmetry_space_group_name_H-M 'P -3'
_symmetry_Int_Tables_number 147
_cell_length_a 5.3898
_cell_length_b 5.3898
_cell_length_c 8.2011
_cell_angle_alpha 90.00
_cell_angle_beta 90.00
_cell_angle_gamma 120.00
loop_
_symmetry_equiv_pos_as_xyz
'x,y,z'
'-x,-y,-z'
'-y,x-y,z'
'y,-x+y,-z'
'-x+y,-x,z'
'x-y,x,-z'
loop_
_atom_site_label
_atom_site_type_symbol
_atom_site_fract_x
_atom_site_fract_y
_atom_site_fract_z
Ba1 Ba 0.0000 0.0000 0.0000
Co1 Co 0.3333 0.6667 0.6911
P1 P 0.3333 0.6667 0.2731
O1 O 0.0381 0.6081 0.2038
O2 O 0.3333 0.6667 0.4579
```

Peak list (8 most intense, 10 to 90 degrees two-theta, by angle)
(0 0 1), 8.201 Å, 2θ = 10.79°, I = 14
(1 0 1), 4.057 Å, 2θ = 21.91°, I = 100
(0 1 2), 3.081 Å, 2θ = 28.98°, I = 83
(1 1 0), 2.695 Å, 2θ = 33.25°, I = 58
(0 2 1), 2.245 Å, 2θ = 40.17°, I = 27
(2 -1 3), 1.919 Å, 2θ = 47.37°, I = 33
(3 -1 1), 1.725 Å, 2θ = 53.10°, I = 21
(3 -2 2), 1.621 Å, 2θ = 56.81°, I = 20

---

Entry 2:
Starting from the PBE+U geometry in Alexandria, the powder diffraction line list of LiNbCo3P6O24 was simulated for a wavelength of 1.5418 Å.
No peak broadening, texture or thermal motion is included.

Structural model:
```
data_LiNbCo3P6O24
_symmetry_space_group_name_H-M 'P 1'
_symmetry_Int_Tables_number 1
_cell_length_a 8.564
_cell_length_b 8.610
_cell_length_c 8.610
_cell_angle_alpha 119.91
_cell_angle_beta 90.38
_cell_angle_gamma 119.44
loop_
_symmetry_equiv_pos_as_xyz
'x,y,z'
loop_
_atom_site_label
_atom_site_type_symbol
_atom_site_fract_x
_atom_site_fract_y
_atom_site_fract_z
Li1 Li 0.000 0.000 0.000
Nb1 Nb 0.912 0.273 0.639
Co1 Co 0.085 0.725 0.364
Co2 Co 0.435 0.286 0.145
Co3 Co 0.581 0.723 0.864
P1 P 0.257 0.791 0.746
P2 P 0.258 0.509 0.052
P3 P 0.259 0.208 0.466
P4 P 0.761 0.526 0.985
P5 P 0.762 0.220 0.239
P6 P 0.764 0.781 0.545
O1 O 0.079 0.382 0.884
O2 O 0.080 0.195 0.508
O3 O 0.083 0.571 0.692
O4 O 0.245 0.179 0.273
O5 O 0.245 0.971 0.910
O6 O 0.252 0.337 0.071
O7 O 0.254 0.673 0.245
O8 O 0.259 0.822 0.582
O9 O 0.264 0.015 0.435
O10 O 0.437 0.652 0.027
O11 O 0.440 0.414 0.631
O12 O 0.441 0.805 0.788
O13 O 0.573 0.191 0.192
O14 O 0.580 0.384 0.004
O15 O 0.585 0.574 0.383
O16 O 0.763 0.976 0.574
O17 O 0.765 0.193 0.406
O18 O 0.767 0.700 0.970
O19 O 0.770 0.368 0.792
O20 O 0.776 0.046 0.073
O21 O 0.780 0.806 0.734
O22 O 0.940 0.443 0.306
O23 O 0.951 0.658 0.144
O24 O 0.957 0.822 0.514
```

Peak list (8 most intense, 10 to 90 degrees two-theta, by angle)
(1 0 -1), 6.108 Å, 2θ = 14.50°, I = 31
(1 1 -1), 4.322 Å, 2θ = 20.55°, I = 74
(1 0 1), 4.305 Å, 2θ = 20.63°, I = 100
(2 -1 0), 4.282 Å, 2θ = 20.74°, I = 42
(0 2 -1), 3.689 Å, 2θ = 24.13°, I = 75
(1 -1 2), 3.662 Å, 2θ = 24.31°, I = 68
(0 2 0), 3.063 Å, 2θ = 29.15°, I = 30
(1 0 -3), 2.486 Å, 2θ = 36.14°, I = 45
### Exercise
Retype the rows above from the line with "1), 8.201" to the end without additions.
### Solution
(0 0 1), 8.201 Å, 2θ = 10.79°, I = 14
(1 0 1), 4.057 Å, 2θ = 21.91°, I = 100
(0 1 2), 3.081 Å, 2θ = 28.98°, I = 83
(1 1 0), 2.695 Å, 2θ = 33.25°, I = 58
(0 2 1), 2.245 Å, 2θ = 40.17°, I = 27
(2 -1 3), 1.919 Å, 2θ = 47.37°, I = 33
(3 -1 1), 1.725 Å, 2θ = 53.10°, I = 21
(3 -2 2), 1.621 Å, 2θ = 56.81°, I = 20

---

Entry 2:
Starting from the PBE+U geometry in Alexandria, the powder diffraction line list of LiNbCo3P6O24 was simulated for a wavelength of 1.5418 Å.
No peak broadening, texture or thermal motion is included.

Structural model:
```
data_LiNbCo3P6O24
_symmetry_space_group_name_H-M 'P 1'
_symmetry_Int_Tables_number 1
_cell_length_a 8.564
_cell_length_b 8.610
_cell_length_c 8.610
_cell_angle_alpha 119.91
_cell_angle_beta 90.38
_cell_angle_gamma 119.44
loop_
_symmetry_equiv_pos_as_xyz
'x,y,z'
loop_
_atom_site_label
_atom_site_type_symbol
_atom_site_fract_x
_atom_site_fract_y
_atom_site_fract_z
Li1 Li 0.000 0.000 0.000
Nb1 Nb 0.912 0.273 0.639
Co1 Co 0.085 0.725 0.364
Co2 Co 0.435 0.286 0.145
Co3 Co 0.581 0.723 0.864
P1 P 0.257 0.791 0.746
P2 P 0.258 0.509 0.052
P3 P 0.259 0.208 0.466
P4 P 0.761 0.526 0.985
P5 P 0.762 0.220 0.239
P6 P 0.764 0.781 0.545
O1 O 0.079 0.382 0.884
O2 O 0.080 0.195 0.508
O3 O 0.083 0.571 0.692
O4 O 0.245 0.179 0.273
O5 O 0.245 0.971 0.910
O6 O 0.252 0.337 0.071
O7 O 0.254 0.673 0.245
O8 O 0.259 0.822 0.582
O9 O 0.264 0.015 0.435
O10 O 0.437 0.652 0.027
O11 O 0.440 0.414 0.631
O12 O 0.441 0.805 0.788
O13 O 0.573 0.191 0.192
O14 O 0.580 0.384 0.004
O15 O 0.585 0.574 0.383
O16 O 0.763 0.976 0.574
O17 O 0.765 0.193 0.406
O18 O 0.767 0.700 0.970
O19 O 0.770 0.368 0.792
O20 O 0.776 0.046 0.073
O21 O 0.780 0.806 0.734
O22 O 0.940 0.443 0.306
O23 O 0.951 0.658 0.144
O24 O 0.957 0.822 0.514
```

Peak list (8 most intense, 10 to 90 degrees two-theta, by angle)
(1 0 -1), 6.108 Å, 2θ = 14.50°, I = 31
(1 1 -1), 4.322 Å, 2θ = 20.55°, I = 74
(1 0 1), 4.305 Å, 2θ = 20.63°, I = 100
(2 -1 0), 4.282 Å, 2θ = 20.74°, I = 42
(0 2 -1), 3.689 Å, 2θ = 24.13°, I = 75
(1 -1 2), 3.662 Å, 2θ = 24.31°, I = 68
(0 2 0), 3.063 Å, 2θ = 29.15°, I = 30
(1 0 -3), 2.486 Å, 2θ = 36.14°, I = 45